Please write out the calculation results further down from the first line to the one with "0.8768 0.1232" without altering anything.
This entry pairs a crystal structure of LaPm2Pr3Te6 with its calculated X-ray powder pattern. Radiation: CuKα. Structure: a structure optimized by DFT (GGA-PBE).
Intensities are scaled so that the largest is 100.

Cell and atoms:
```
data_LaPm2Pr3Te6
_chemical_formula_sum 'La2 Pm4 Pr6 Te12'
_cell_length_a 19.6817
_cell_length_b 4.5051
_cell_length_c 9.0751
_cell_angle_alpha 90.00
_cell_angle_beta 103.26
_cell_angle_gamma 90.00
_symmetry_space_group_name_H-M 'C 1 2/m 1'
_symmetry_Int_Tables_number 12
loop_
_symmetry_equiv_pos_as_xyz
'x,y,z'
'-x,-y,-z'
'-x,y,-z'
'x,-y,z'
'x+1/2,y+1/2,z'
'-x+1/2,-y+1/2,-z'
'-x+1/2,y+1/2,-z'
'x+1/2,-y+1/2,z'
loop_
_atom_site_label
_atom_site_type_symbol
_atom_site_fract_x
_atom_site_fract_y
_atom_site_fract_z
_atom_site_occupancy
La1 La 0.0000 0.0000 0.0000 1
Pm1 Pm 0.1676 0.5000 0.3339 1
Pr1 Pr 0.0000 0.0000 0.5000 1
Pr2 Pr 0.1653 0.5000 0.8308 1
Te1 Te 0.0024 0.5000 0.2525 1
Te2 Te 0.1680 0.0000 0.0866 1
Te3 Te 0.1676 0.0000 0.5796 1
```

Peak list (10 most intense, 2θ from 10° to 80°, in order of rising 2θ)
(6 0 0), 27.92°, d 3.196, I = 100.0
(2 0 -4), 39.73°, d 2.269, I = 12.9
(5 1 2), 39.91°, d 2.259, I = 50.9
(0 2 0), 40.03°, d 2.253, I = 12.7
(8 0 -4), 49.27°, d 1.849, I = 13.8
(6 2 0), 49.52°, d 1.841, I = 13.6
(2 2 -4), 57.70°, d 1.598, I = 12.9
(8 2 -4), 65.29°, d 1.429, I = 17.6
(9 1 -6), 72.23°, d 1.308, I = 8.7
(5 3 2), 72.61°, d 1.302, I = 12.9

----------

K2NiMo2O8: computed powder diffractogram (Cu Kα X-rays), based on the PBE+U geometry in Alexandria.
Kinematic intensities with the Lorentz-polarization factor, no thermal factor.

Crystal structure
Cell: 10.5965 10.5965 11.0664 Å, 90.00 90.00 132.15°
Element x y z (fractional)
K 0.0369 0.4631 0.7500
K 0.1321 0.8679 0.9280
K 0.3679 0.6321 0.4280
K 0.4631 0.0369 0.2500
K 0.5369 0.9631 0.7500
K 0.6321 0.3679 0.5720
K 0.8679 0.1321 0.0720
K 0.9631 0.5369 0.2500
Ni 0.1781 0.1781 0.5000
Ni 0.3219 0.3219 0.0000
Ni 0.6781 0.6781 0.0000
Ni 0.8219 0.8219 0.5000
Mo 0.0316 0.9684 0.2155
Mo 0.1572 0.8428 0.5350
Mo 0.3428 0.6572 0.0350
Mo 0.4684 0.5316 0.7155
Mo 0.5316 0.4684 0.2845
Mo 0.6572 0.3428 0.9650
Mo 0.8428 0.1572 0.4650
Mo 0.9684 0.0316 0.7845
O 0.0004 0.9996 0.3731
O 0.9996 0.0004 0.6269
O 0.0673 0.2848 0.4976
O 0.1232 0.8768 0.2037
O 0.1614 0.1648 0.1352
O 0.1648 0.1614 0.8648
O 0.1864 0.8136 0.6887
O 0.2152 0.4327 0.0024
O 0.2319 0.7681 0.4403
O 0.2681 0.7319 0.9403
O 0.2848 0.0673 0.5024
O 0.3136 0.6864 0.1887
O 0.3352 0.3386 0.3648
O 0.3386 0.3352 0.6352
O 0.3768 0.6232 0.7037
O 0.4327 0.2152 0.9976
O 0.5004 0.4996 0.1269
O 0.4996 0.5004 0.8731
O 0.5673 0.7848 0.0024
O 0.6232 0.3768 0.2963
O 0.6614 0.6648 0.3648
O 0.6648 0.6614 0.6352
O 0.6864 0.3136 0.8113
O 0.7152 0.9327 0.4976
O 0.7319 0.2681 0.0597
O 0.7681 0.2319 0.5597
O 0.7848 0.5673 0.9976
O 0.8136 0.1864 0.3113
O 0.8352 0.8386 0.1352
O 0.8386 0.8352 0.8648
O 0.8768 0.1232 0.7963
O 0.9327 0.7152 0.5024

Main lines, low angle first (5° ≤ 2θ ≤ 70°):
- 9.1 deg, d = 9.686 Å, rel. 91
- 13.8 deg, d = 6.406 Å, rel. 30
- 19.0 deg, d = 4.678 Å, rel. 29
- 20.7 deg, d = 4.297 Å, rel. 46
- 25.8 deg, d = 3.447 Å, rel. 33
- 26.7 deg, d = 3.339 Å, rel. 54
- 27.6 deg, d = 3.229 Å, rel. 32
- 27.9 deg, d = 3.203 Å, rel. 100
- 28.9 deg, d = 3.087 Å, rel. 40
- 42.1 deg, d = 2.147 Å, rel. 25
This entry pairs a crystal structure of LaPm2Pr3Te6 with its calculated X-ray powder pattern. Radiation: CuKα. Structure: a structure optimized by DFT (GGA-PBE).
Intensities are scaled so that the largest is 100.

Cell and atoms:
```
data_LaPm2Pr3Te6
_chemical_formula_sum 'La2 Pm4 Pr6 Te12'
_cell_length_a 19.6817
_cell_length_b 4.5051
_cell_length_c 9.0751
_cell_angle_alpha 90.00
_cell_angle_beta 103.26
_cell_angle_gamma 90.00
_symmetry_space_group_name_H-M 'C 1 2/m 1'
_symmetry_Int_Tables_number 12
loop_
_symmetry_equiv_pos_as_xyz
'x,y,z'
'-x,-y,-z'
'-x,y,-z'
'x,-y,z'
'x+1/2,y+1/2,z'
'-x+1/2,-y+1/2,-z'
'-x+1/2,y+1/2,-z'
'x+1/2,-y+1/2,z'
loop_
_atom_site_label
_atom_site_type_symbol
_atom_site_fract_x
_atom_site_fract_y
_atom_site_fract_z
_atom_site_occupancy
La1 La 0.0000 0.0000 0.0000 1
Pm1 Pm 0.1676 0.5000 0.3339 1
Pr1 Pr 0.0000 0.0000 0.5000 1
Pr2 Pr 0.1653 0.5000 0.8308 1
Te1 Te 0.0024 0.5000 0.2525 1
Te2 Te 0.1680 0.0000 0.0866 1
Te3 Te 0.1676 0.0000 0.5796 1
```

Peak list (10 most intense, 2θ from 10° to 80°, in order of rising 2θ)
(6 0 0), 27.92°, d 3.196, I = 100.0
(2 0 -4), 39.73°, d 2.269, I = 12.9
(5 1 2), 39.91°, d 2.259, I = 50.9
(0 2 0), 40.03°, d 2.253, I = 12.7
(8 0 -4), 49.27°, d 1.849, I = 13.8
(6 2 0), 49.52°, d 1.841, I = 13.6
(2 2 -4), 57.70°, d 1.598, I = 12.9
(8 2 -4), 65.29°, d 1.429, I = 17.6
(9 1 -6), 72.23°, d 1.308, I = 8.7
(5 3 2), 72.61°, d 1.302, I = 12.9

----------

K2NiMo2O8: computed powder diffractogram (Cu Kα X-rays), based on the PBE+U geometry in Alexandria.
Kinematic intensities with the Lorentz-polarization factor, no thermal factor.

Crystal structure
Cell: 10.5965 10.5965 11.0664 Å, 90.00 90.00 132.15°
Element x y z (fractional)
K 0.0369 0.4631 0.7500
K 0.1321 0.8679 0.9280
K 0.3679 0.6321 0.4280
K 0.4631 0.0369 0.2500
K 0.5369 0.9631 0.7500
K 0.6321 0.3679 0.5720
K 0.8679 0.1321 0.0720
K 0.9631 0.5369 0.2500
Ni 0.1781 0.1781 0.5000
Ni 0.3219 0.3219 0.0000
Ni 0.6781 0.6781 0.0000
Ni 0.8219 0.8219 0.5000
Mo 0.0316 0.9684 0.2155
Mo 0.1572 0.8428 0.5350
Mo 0.3428 0.6572 0.0350
Mo 0.4684 0.5316 0.7155
Mo 0.5316 0.4684 0.2845
Mo 0.6572 0.3428 0.9650
Mo 0.8428 0.1572 0.4650
Mo 0.9684 0.0316 0.7845
O 0.0004 0.9996 0.3731
O 0.9996 0.0004 0.6269
O 0.0673 0.2848 0.4976
O 0.1232 0.8768 0.2037
O 0.1614 0.1648 0.1352
O 0.1648 0.1614 0.8648
O 0.1864 0.8136 0.6887
O 0.2152 0.4327 0.0024
O 0.2319 0.7681 0.4403
O 0.2681 0.7319 0.9403
O 0.2848 0.0673 0.5024
O 0.3136 0.6864 0.1887
O 0.3352 0.3386 0.3648
O 0.3386 0.3352 0.6352
O 0.3768 0.6232 0.7037
O 0.4327 0.2152 0.9976
O 0.5004 0.4996 0.1269
O 0.4996 0.5004 0.8731
O 0.5673 0.7848 0.0024
O 0.6232 0.3768 0.2963
O 0.6614 0.6648 0.3648
O 0.6648 0.6614 0.6352
O 0.6864 0.3136 0.8113
O 0.7152 0.9327 0.4976
O 0.7319 0.2681 0.0597
O 0.7681 0.2319 0.5597
O 0.7848 0.5673 0.9976
O 0.8136 0.1864 0.3113
O 0.8352 0.8386 0.1352
O 0.8386 0.8352 0.8648
O 0.8768 0.1232 0.7963